What to do:
Reproduce all of the material below word for word.
Entries:
~~~
<w>
2 unconnected molecules or ions with the total composition C4H11N4S, computed with the ωB97M-V functional and the def2-TZVPD basis.

Values from the calculation:
* HOMO level: -12.1 eV
* orbital gap: 7.769 eV

```
! wB97M-V def2-TZVPD RIJCOSX def2/J DEFGRID3
* xyz 1 1
H -0.114 2.486 3.452
H -0.119 1.532 -1.128
H 1.687 -2.259 -2.458
H -1.800 0.301 -2.445
H 2.863 -4.267 -1.405
N 2.523 -3.443 -0.802
H 0.958 3.431 1.154
H -1.379 1.313 3.282
N -1.006 1.073 0.571
N 0.477 2.708 0.779
N -0.750 2.048 2.753
C 1.785 -2.445 -1.396
C -0.792 0.902 -0.713
H -2.730 0.018 -0.992
S 1.030 -1.392 -0.379
H -1.246 -0.964 -1.351
H -1.848 0.461 0.868
C -0.352 1.989 1.453
H 2.529 -3.565 0.183
C -1.716 0.074 -1.428
*
```

---

<x>
A gas-phase ion, C4H11N4S (charge +1), computed with the ωB97M-V functional and the def2-TZVPD basis.

Values from the calculation:
* HOMO level: -12.5 eV
* orbital gap: 8.467 eV

```
! wB97M-V def2-TZVPD RIJCOSX def2/J DEFGRID3
* xyz 1 1
H 0.408 -2.048 0.374
H -0.820 1.978 -0.784
H 0.642 0.740 -1.244
S -0.922 3.599 1.107
N 0.867 -1.373 -1.458
H 0.417 1.870 2.915
C 0.119 -0.184 0.419
H 1.869 -1.455 -1.623
N 0.511 -0.137 -0.869
H -1.115 1.292 2.910
H 0.042 -2.374 -3.109
H -1.088 -1.532 -2.270
C -0.163 1.074 2.542
H 0.272 -0.563 -3.359
H 0.312 0.101 2.747
C 0.031 -1.453 -2.613
C -0.609 2.193 0.319
H -0.530 -1.473 1.891
N -0.021 -1.330 1.055
N -0.222 1.076 1.049
*
```

---

Short version: <w> is the most stable of them.

---

<w>
8 unconnected molecules or ions with the total composition H14IO7, computed with the ωB97M-V functional and the def2-TZVPD basis.

Values from the calculation:
* HOMO level: -5.7 eV
* orbital gap: 8.805 eV

```
! wB97M-V def2-TZVPD RIJCOSX def2/J DEFGRID3
* xyz -1 1
H 9.369 12.990 24.792
H 10.929 12.921 22.839
H 7.621 14.833 23.855
H 13.809 13.114 22.472
I 11.343 14.574 24.646
H 12.717 15.876 22.692
O 11.612 11.020 25.375
H 8.097 12.466 25.564
H 11.184 11.641 22.127
O 8.787 12.216 24.957
H 8.735 15.522 24.746
O 10.522 12.367 22.188
H 9.945 16.980 21.186
H 14.132 15.681 22.114
O 9.613 16.222 21.679
O 14.373 13.219 23.197
H 11.993 10.982 24.476
H 13.823 13.634 23.880
O 13.218 15.807 21.872
H 11.213 11.878 25.431
O 7.869 15.597 24.375
H 10.178 16.087 22.448
*
```

---

<x>
8 unconnected molecules or ions with the total composition H14IO7, computed with the ωB97M-V functional and the def2-TZVPD basis.

Values from the calculation:
* HOMO level: -5.7 eV
* orbital gap: 8.744 eV

```
! wB97M-V def2-TZVPD RIJCOSX def2/J DEFGRID3
* xyz -1 1
O -1.309 -2.463 -1.618
H -3.610 0.247 1.303
H -2.379 0.838 0.403
H 0.790 3.041 1.808
O -3.299 0.984 0.742
H -1.475 0.404 -4.360
O 3.083 0.675 1.499
H -1.057 0.114 -2.835
O 3.354 -0.988 -0.888
H -2.083 -2.289 -2.105
O -1.158 -1.612 2.395
H 3.275 0.772 2.458
H 2.208 0.337 1.552
H 3.481 -1.697 -0.228
H -0.622 -1.281 1.699
H 1.015 2.497 0.429
O 1.217 3.265 1.013
H 2.579 -0.590 -0.528
O -1.609 -0.197 -3.598
I 0.146 0.358 -0.447
H -1.599 -0.828 2.717
H -0.948 -1.588 -1.412
*
```

---

Short version: <w> is the most stable of them.

---

<w>
A gas-phase ion, C3H6N3O2 (charge +1), computed with the ωB97M-V functional and the def2-TZVPD basis.

Values from the calculation:
* HOMO level: -12.9 eV
* orbital gap: 8.685 eV

```
! wB97M-V def2-TZVPD RIJCOSX def2/J DEFGRID3
* xyz 1 1
C 2.998 0.982 -0.329
N 1.631 -0.880 0.198
H 3.573 1.767 0.217
C 0.444 -1.363 0.112
H -0.555 1.135 1.095
N -0.853 -0.742 0.024
H 2.898 1.105 -1.402
C -1.228 0.416 0.416
H -1.622 -1.376 -0.463
H 0.155 -2.386 0.424
N 2.268 0.149 0.262
H -4.101 0.379 -0.425
O -3.177 -0.013 -0.467
O -2.430 0.826 0.338
*
```

---

<x>
A molecular structure, C3H6N3O2, computed with the ωB97M-V functional and the def2-TZVPD basis.

Values from the calculation:
* HOMO level: -14.7 eV
* orbital gap: 9.604 eV

```
! wB97M-V def2-TZVPD RIJCOSX def2/J DEFGRID3
* xyz 1 1
H -2.548 -0.936 -0.267
H -1.442 2.000 -0.515
H 1.644 -2.156 0.306
C 0.833 1.205 0.036
N -0.531 0.617 0.158
H 0.854 2.069 0.833
O 2.946 0.034 0.082
O -1.676 1.410 0.141
~~~
Written answer:
<w>
2 unconnected molecules or ions with the total composition C4H11N4S, computed with the ωB97M-V functional and the def2-TZVPD basis.

Values from the calculation:
* HOMO level: -12.1 eV
* orbital gap: 7.769 eV

```
! wB97M-V def2-TZVPD RIJCOSX def2/J DEFGRID3
* xyz 1 1
H -0.114 2.486 3.452
H -0.119 1.532 -1.128
H 1.687 -2.259 -2.458
H -1.800 0.301 -2.445
H 2.863 -4.267 -1.405
N 2.523 -3.443 -0.802
H 0.958 3.431 1.154
H -1.379 1.313 3.282
N -1.006 1.073 0.571
N 0.477 2.708 0.779
N -0.750 2.048 2.753
C 1.785 -2.445 -1.396
C -0.792 0.902 -0.713
H -2.730 0.018 -0.992
S 1.030 -1.392 -0.379
H -1.246 -0.964 -1.351
H -1.848 0.461 0.868
C -0.352 1.989 1.453
H 2.529 -3.565 0.183
C -1.716 0.074 -1.428
*
```

---

<x>
A gas-phase ion, C4H11N4S (charge +1), computed with the ωB97M-V functional and the def2-TZVPD basis.

Values from the calculation:
* HOMO level: -12.5 eV
* orbital gap: 8.467 eV

```
! wB97M-V def2-TZVPD RIJCOSX def2/J DEFGRID3
* xyz 1 1
H 0.408 -2.048 0.374
H -0.820 1.978 -0.784
H 0.642 0.740 -1.244
S -0.922 3.599 1.107
N 0.867 -1.373 -1.458
H 0.417 1.870 2.915
C 0.119 -0.184 0.419
H 1.869 -1.455 -1.623
N 0.511 -0.137 -0.869
H -1.115 1.292 2.910
H 0.042 -2.374 -3.109
H -1.088 -1.532 -2.270
C -0.163 1.074 2.542
H 0.272 -0.563 -3.359
H 0.312 0.101 2.747
C 0.031 -1.453 -2.613
C -0.609 2.193 0.319
H -0.530 -1.473 1.891
N -0.021 -1.330 1.055
N -0.222 1.076 1.049
*
```

---

Short version: <w> is the most stable of them.

---

<w>
8 unconnected molecules or ions with the total composition H14IO7, computed with the ωB97M-V functional and the def2-TZVPD basis.

Values from the calculation:
* HOMO level: -5.7 eV
* orbital gap: 8.805 eV

```
! wB97M-V def2-TZVPD RIJCOSX def2/J DEFGRID3
* xyz -1 1
H 9.369 12.990 24.792
H 10.929 12.921 22.839
H 7.621 14.833 23.855
H 13.809 13.114 22.472
I 11.343 14.574 24.646
H 12.717 15.876 22.692
O 11.612 11.020 25.375
H 8.097 12.466 25.564
H 11.184 11.641 22.127
O 8.787 12.216 24.957
H 8.735 15.522 24.746
O 10.522 12.367 22.188
H 9.945 16.980 21.186
H 14.132 15.681 22.114
O 9.613 16.222 21.679
O 14.373 13.219 23.197
H 11.993 10.982 24.476
H 13.823 13.634 23.880
O 13.218 15.807 21.872
H 11.213 11.878 25.431
O 7.869 15.597 24.375
H 10.178 16.087 22.448
*
```

---

<x>
8 unconnected molecules or ions with the total composition H14IO7, computed with the ωB97M-V functional and the def2-TZVPD basis.

Values from the calculation:
* HOMO level: -5.7 eV
* orbital gap: 8.744 eV

```
! wB97M-V def2-TZVPD RIJCOSX def2/J DEFGRID3
* xyz -1 1
O -1.309 -2.463 -1.618
H -3.610 0.247 1.303
H -2.379 0.838 0.403
H 0.790 3.041 1.808
O -3.299 0.984 0.742
H -1.475 0.404 -4.360
O 3.083 0.675 1.499
H -1.057 0.114 -2.835
O 3.354 -0.988 -0.888
H -2.083 -2.289 -2.105
O -1.158 -1.612 2.395
H 3.275 0.772 2.458
H 2.208 0.337 1.552
H 3.481 -1.697 -0.228
H -0.622 -1.281 1.699
H 1.015 2.497 0.429
O 1.217 3.265 1.013
H 2.579 -0.590 -0.528
O -1.609 -0.197 -3.598
I 0.146 0.358 -0.447
H -1.599 -0.828 2.717
H -0.948 -1.588 -1.412
*
```

---

Short version: <w> is the most stable of them.

---

<w>
A gas-phase ion, C3H6N3O2 (charge +1), computed with the ωB97M-V functional and the def2-TZVPD basis.

Values from the calculation:
* HOMO level: -12.9 eV
* orbital gap: 8.685 eV

```
! wB97M-V def2-TZVPD RIJCOSX def2/J DEFGRID3
* xyz 1 1
C 2.998 0.982 -0.329
N 1.631 -0.880 0.198
H 3.573 1.767 0.217
C 0.444 -1.363 0.112
H -0.555 1.135 1.095
N -0.853 -0.742 0.024
H 2.898 1.105 -1.402
C -1.228 0.416 0.416
H -1.622 -1.376 -0.463
H 0.155 -2.386 0.424
N 2.268 0.149 0.262
H -4.101 0.379 -0.425
O -3.177 -0.013 -0.467
O -2.430 0.826 0.338
*
```

---

<x>
A molecular structure, C3H6N3O2, computed with the ωB97M-V functional and the def2-TZVPD basis.

Values from the calculation:
* HOMO level: -14.7 eV
* orbital gap: 9.604 eV

```
! wB97M-V def2-TZVPD RIJCOSX def2/J DEFGRID3
* xyz 1 1
H -2.548 -0.936 -0.267
H -1.442 2.000 -0.515
H 1.644 -2.156 0.306
C 0.833 1.205 0.036
N -0.531 0.617 0.158
H 0.854 2.069 0.833
O 2.946 0.034 0.082
O -1.676 1.410 0.141